I think it's a female thing
I'm sure there's a quote - 'This is GIRL LOGIC - it's not what you say that's important, it's what she INFERS from it'.
Which is so true, guys are so to-the-point, say what they mean and we can interpret it as something completely different
I have worked out that "I'm fine" means she is annoyed and I should know what about and when she says its "ok" to go out for a beer, it means 1 beer and not an all nighter and coming home with a cold pizza
Having said that, if you asked if you were allowed to go on an all nighter, you'd probably get a big NO, haha.
or an "it's fine" to go for an all nighter
or an "it's fine" to go for an all nighter
Except, being a bloke, you're already halfway through your second pint before she's finished her sentence
I'm the male in my relationship. I roll over after lovin' while Adam tries to cuddle me We went for a walk once and he said "That's the prettiest tree I've ever seen". He's a big manly looking guy but I swear there's a vagina hiding somewhere. Such a girl. His favourite movies are Moulin Rouge, American Beauty and Amelie?! My favourite movie is Battle Royale, lol. There are so many things that he does that are really girly, I'll have to start a list!
P.S. We've been for a walk more than once, I'm not that lazy
and yeah.. wasnt the second time the other day?
just spat all over the keyboard snorting at your vagina comment LOL
So did I hehehe.
I most definitely wear the trousers in my relationships, but Jon definitely does NOT have a vagina hidden anywhere, hahaha.
He was saying, 'yeah, my film collection is all boyish stuff' and I said 'GOOD! Chick flicks are boring!' and he was like *stunned silence* hahaha.
You'd think he'd have got the point after we saw Die Hard, Transformers, Max Payne etc etc and I enojyed them, but evidently not
lmaoooo!! - i must be a bore i totaly love chick flicks and god love the oh he puts up with watching them too but thats what happens when ur made to watch footy near every night of the week even the teams he doesnt like i just dont get men running about with a stupid ball and screaming like a bunch of idiots for scoring a goal - well done u scored a ball into a net whoopie bloody do!! lol
┌──
Entry from Alexandria via LeMat-Bulk: a relaxed Rb2HgSe2 crystal (GGA-PBE).

Cell lengths 5.016, 5.008, 11.805 Å; angles 102.25, 129.87, 90.00 degrees
Atoms (fractional coordinates):
Se (0.920, 0.141, 0.282)
Hg (0.500, 0.000, 0.000)
Rb (0.469, 0.657, 0.314)
Se (0.080, 0.859, 0.718)
Rb (0.531, 0.343, 0.686)

Properties
Total DFT energy (no corrections), eV per atom: -2.71
Magnetization, μB per formula unit: 0.0

Entry from Alexandria via LeMat-Bulk: a relaxed TiNbZnAu crystal (GGA-PBE).

Cell lengths 3.888, 4.122, 4.143 Å; angles 90.00, 90.00, 90.00 degrees
Atoms (fractional coordinates):
Au (0.500, 0.500, 0.000)
Zn (0.000, 0.000, 0.000)
Nb (0.500, 0.000, 0.500)
Ti (0.000, 0.500, 0.500)

Properties
E_form, eV/f.u.: -0.85
Total DFT energy (no corrections), eV per atom: -5.84
Magnetization, μB per formula unit: 0.0

Entry from Alexandria via LeMat-Bulk: a relaxed Ac6C2NCl3 crystal (GGA-PBE).

Cell lengths 6.862, 6.862, 8.010 Å; angles 98.21, 98.21, 120.01 degrees
Atoms (fractional coordinates):
Cl (0.500, 0.500, 0.500)
Cl (0.171, 0.829, 0.500)
C (0.334, 0.666, 0.000)
Ac (0.734, 0.734, 0.194)
Ac (0.936, 0.605, 0.807)
Cl (0.829, 0.171, 0.500)
Ac (0.395, 0.064, 0.193)
N (0.000, 0.000, 0.000)
Ac (0.266, 0.266, 0.806)
Ac (0.605, 0.936, 0.807)
Ac (0.064, 0.395, 0.193)
C (0.666, 0.334, 0.000)

Properties
Total DFT energy (no corrections), eV per atom: -5.78
Magnetization, μB per formula unit: 0.0

Entry from Alexandria via LeMat-Bulk: a relaxed CeEr2Ag crystal (GGA-PBE).

Cell lengths 3.582, 3.582, 8.286 Å; angles 90.00, 90.00, 90.00 degrees
Atoms (fractional coordinates):
Er (0.000, 0.000, 0.217)
Er (0.000, 0.000, 0.783)
Ag (0.500, 0.500, 0.000)
Ce (0.500, 0.500, 0.500)

Properties
ΔE to the lowest computed polymorph, eV per formula unit: 0.00
E_form, eV/f.u.: -0.39
Total DFT energy (no corrections), eV per atom: -4.58
Magnetization, μB per formula unit: 0.6

Entry from Alexandria via LeMat-Bulk: a relaxed MnBi2Cl crystal (GGA-PBE).

Cell lengths 5.184, 5.184, 5.184 Å; angles 60.00, 60.00, 60.00 degrees
Atoms (fractional coordinates):
Bi (0.250, 0.250, 0.250)
Bi (0.750, 0.750, 0.750)
Cl (0.000, 0.000, 0.000)
Mn (0.500, 0.500, 0.500)

Properties
ΔE to the lowest computed polymorph, eV per formula unit: 0.00
Total DFT energy (no corrections), eV per atom: -4.47
Magnetization, μB per formula unit: 4.0

Entry from Alexandria via LeMat-Bulk: a relaxed AlV4W5 crystal (GGA-PBE).

Cell lengths 4.381, 6.715, 6.570 Å; angles 117.91, 109.47, 90.00 degrees
Atoms (fractional coordinates):
W (0.144, 0.189, 0.289)
W (0.784, 0.374, 0.568)
V (0.953, 0.257, 0.906)
V (0.689, 0.924, 0.377)
Al (0.500, 0.000, 0.000)
V (0.047, 0.743, 0.094)
W (0.216, 0.626, 0.432)
W (0.500, 0.500, 0.000)
V (0.311, 0.076, 0.623)
W (0.856, 0.811, 0.711)

Properties
E_form, eV/f.u.: 3.26
Total DFT energy (no corrections), eV per atom: -10.17
Magnetization, μB per formula unit: 0.0

Entry from Alexandria via LeMat-Bulk: a relaxed SbTe2Au crystal (GGA-PBE).
└──
Back to the piece >
I'm the male in my relationship. I roll over after lovin' while Adam tries to cuddle me We went for a walk once and he said "That's the prettiest tree I've ever seen". He's a big manly looking guy but I swear there's a vagina hiding somewhere. Such a girl. His favourite movies are Moulin Rouge, American Beauty and Amelie?! My favourite movie is Battle Royale, lol. There are so many things that he does that are really girly, I'll have to start a list!
P.S. We've been for a walk more than once, I'm not that lazy
i think if i made the effort to look i would find Mattys vagina.. he has some right girly huffs sometimes!
and i LOVE girly films! Love Die Hard though too.. but he doesnt beat Bridget Jones!